/*
# Ca3BeSb3
Simulated PXRD pattern, Cu Kα (λ = 1.5418 Å). Input: a GGA-PBE-relaxed structure.
Neutral-atom scattering factors, no anomalous dispersion.

Peak list (10 most intense, 10 to 90 degrees two-theta, most intense first)
two_theta  I_rel
23.96  100
39.57  98
27.86  78
27.76  75
39.73  65
27.59  65
49.06  47
64.97  19
34.15  18
47.01  16

Crystal structure
```
data_Ca3BeSb3
_chemical_formula_sum 'Ca12 Be4 Sb12'
_cell_length_a 10.1351
_cell_length_b 10.1351
_cell_length_c 12.8553
_cell_angle_alpha 90.00
_cell_angle_beta 90.00
_cell_angle_gamma 37.21
_space_group_name_H-M_alt 'P 1'
_space_group_IT_number 1
loop_
_space_group_symop_operation_xyz
'x,y,z'
loop_
_atom_site_label
_atom_site_type_symbol
_atom_site_fract_x
_atom_site_fract_y
_atom_site_fract_z
_atom_site_occupancy
Ca1 Ca 0.0387 0.6188 0.1298 1
Ca2 Ca 0.1188 0.5387 0.6298 1
Ca3 Ca 0.2051 0.7949 0.8585 1
Ca4 Ca 0.2949 0.7051 0.3585 1
Ca5 Ca 0.3812 0.9613 0.1298 1
Ca6 Ca 0.4613 0.8812 0.6298 1
Ca7 Ca 0.5387 0.1188 0.3702 1
Ca8 Ca 0.6188 0.0387 0.8702 1
Ca9 Ca 0.7051 0.2949 0.6415 1
Ca10 Ca 0.7949 0.2051 0.1415 1
Ca11 Ca 0.8812 0.4613 0.3702 1
Ca12 Ca 0.9613 0.3812 0.8702 1
Be1 Be 0.0847 0.0847 0.5000 1
Be2 Be 0.4153 0.4153 0.0000 1
Be3 Be 0.5847 0.5847 0.0000 1
Be4 Be 0.9153 0.9153 0.5000 1
Sb1 Sb 0.0528 0.6239 0.3812 1
Sb2 Sb 0.1239 0.5528 0.8812 1
Sb3 Sb 0.2137 0.7863 0.6088 1
Sb4 Sb 0.2863 0.7137 0.1088 1
Sb5 Sb 0.3761 0.9472 0.3812 1
Sb6 Sb 0.4472 0.8761 0.8812 1
Sb7 Sb 0.5528 0.1239 0.1188 1
Sb8 Sb 0.6239 0.0528 0.6188 1
Sb9 Sb 0.7137 0.2863 0.8912 1
Sb10 Sb 0.7863 0.2137 0.3912 1
Sb11 Sb 0.8761 0.4472 0.1188 1
Sb12 Sb 0.9472 0.3761 0.6188 1
```

=====

# CaTbBe2Si2
Simulated PXRD pattern, Cu Kα (λ = 1.5418 Å). Input: a GGA-PBE-relaxed structure.
Neutral-atom scattering factors, no anomalous dispersion.

Peak list (10 most intense, 10 to 90 degrees two-theta, most intense first)
two_theta  I_rel
34.16  100
10.64  64
26.32  48
28.47  41
46.46  27
51.63  25
58.91  20
65.56  19
78.15  17
42.14  17

Crystal structure
```
data_CaTbBe2Si2
_chemical_formula_sum 'Ca1 Tb1 Be2 Si2'
_cell_length_a 3.9092
_cell_length_b 3.9092
_cell_length_c 8.3147
_cell_angle_alpha 90.00
_cell_angle_beta 90.00
_cell_angle_gamma 120.00
_space_group_name_H-M_alt 'P 1'
_space_group_IT_number 1
loop_
_space_group_symop_operation_xyz
'x,y,z'
loop_
_atom_site_label
_atom_site_type_symbol
_atom_site_fract_x
_atom_site_fract_y
_atom_site_fract_z
_atom_site_occupancy
Ca1 Ca 0.0000 0.0000 0.0000 1
Tb1 Tb 0.0000 0.0000 0.5000 1
Be1 Be 0.3333 0.6667 0.7341 1
Be2 Be 0.6667 0.3333 0.2659 1
Si1 Si 0.3333 0.6667 0.2604 1
Si2 Si 0.6667 0.3333 0.7396 1
```

=====

# SrCa2Be
Simulated PXRD pattern, Cu Kα (λ = 1.5418 Å). Input: a GGA-PBE-relaxed structure.
Neutral-atom scattering factors, no anomalous dispersion.

Peak list (10 most intense, 10 to 90 degrees two-theta, most intense first)
two_theta  I_rel
31.60  100
26.48  85
24.56  52
30.36  37
39.43  29
54.26  22
16.69  21
43.85  21
55.62  20
54.73  19

Crystal structure
```
data_SrCa2Be
_chemical_formula_sum 'Sr1 Ca2 Be1'
_cell_length_a 7.0800
_cell_length_b 7.0800
_cell_length_c 7.0800
_cell_angle_alpha 148.92
_cell_angle_beta 130.86
_cell_angle_gamma 59.30
_space_group_name_H-M_alt 'P 1'
_space_group_IT_number 1
loop_
_space_group_symop_operation_xyz
'x,y,z'
loop_
_atom_site_label
_atom_site_type_symbol
_atom_site_fract_x
_atom_site_fract_y
_atom_site_fract_z
_atom_site_occupancy
Sr1 Sr 0.0000 0.0000 0.0000 1
Ca1 Ca 0.3119 0.8119 0.5000 1
Ca2 Ca 0.6881 0.1881 0.5000 1
Be1 Be 0.5000 0.5000 0.0000 1
```

=====

# SrCaBe4
Simulated PXRD pattern, Cu Kα (λ = 1.5418 Å). Input: a GGA-PBE-relaxed structure.
Neutral-atom scattering factors, no anomalous dispersion.

Peak list (10 most intense, 10 to 90 degrees two-theta, most intense first)
two_theta  I_rel
33.84  100
20.53  93
39.91  84
60.54  34
64.64  27
53.30  25
23.75  18
75.00  17
71.19  14
81.20  14

Crystal structure
```
data_SrCaBe4
_chemical_formula_sum 'Sr1 Ca1 Be4'
_cell_length_a 5.2978
*/

Duplicate the whole of the contents earlier on character by character, please.

# Ca3BeSb3
Simulated PXRD pattern, Cu Kα (λ = 1.5418 Å). Input: a GGA-PBE-relaxed structure.
Neutral-atom scattering factors, no anomalous dispersion.

Peak list (10 most intense, 10 to 90 degrees two-theta, most intense first)
two_theta  I_rel
23.96  100
39.57  98
27.86  78
27.76  75
39.73  65
27.59  65
49.06  47
64.97  19
34.15  18
47.01  16

Crystal structure
```
data_Ca3BeSb3
_chemical_formula_sum 'Ca12 Be4 Sb12'
_cell_length_a 10.1351
_cell_length_b 10.1351
_cell_length_c 12.8553
_cell_angle_alpha 90.00
_cell_angle_beta 90.00
_cell_angle_gamma 37.21
_space_group_name_H-M_alt 'P 1'
_space_group_IT_number 1
loop_
_space_group_symop_operation_xyz
'x,y,z'
loop_
_atom_site_label
_atom_site_type_symbol
_atom_site_fract_x
_atom_site_fract_y
_atom_site_fract_z
_atom_site_occupancy
Ca1 Ca 0.0387 0.6188 0.1298 1
Ca2 Ca 0.1188 0.5387 0.6298 1
Ca3 Ca 0.2051 0.7949 0.8585 1
Ca4 Ca 0.2949 0.7051 0.3585 1
Ca5 Ca 0.3812 0.9613 0.1298 1
Ca6 Ca 0.4613 0.8812 0.6298 1
Ca7 Ca 0.5387 0.1188 0.3702 1
Ca8 Ca 0.6188 0.0387 0.8702 1
Ca9 Ca 0.7051 0.2949 0.6415 1
Ca10 Ca 0.7949 0.2051 0.1415 1
Ca11 Ca 0.8812 0.4613 0.3702 1
Ca12 Ca 0.9613 0.3812 0.8702 1
Be1 Be 0.0847 0.0847 0.5000 1
Be2 Be 0.4153 0.4153 0.0000 1
Be3 Be 0.5847 0.5847 0.0000 1
Be4 Be 0.9153 0.9153 0.5000 1
Sb1 Sb 0.0528 0.6239 0.3812 1
Sb2 Sb 0.1239 0.5528 0.8812 1
Sb3 Sb 0.2137 0.7863 0.6088 1
Sb4 Sb 0.2863 0.7137 0.1088 1
Sb5 Sb 0.3761 0.9472 0.3812 1
Sb6 Sb 0.4472 0.8761 0.8812 1
Sb7 Sb 0.5528 0.1239 0.1188 1
Sb8 Sb 0.6239 0.0528 0.6188 1
Sb9 Sb 0.7137 0.2863 0.8912 1
Sb10 Sb 0.7863 0.2137 0.3912 1
Sb11 Sb 0.8761 0.4472 0.1188 1
Sb12 Sb 0.9472 0.3761 0.6188 1
```

=====

# CaTbBe2Si2
Simulated PXRD pattern, Cu Kα (λ = 1.5418 Å). Input: a GGA-PBE-relaxed structure.
Neutral-atom scattering factors, no anomalous dispersion.

Peak list (10 most intense, 10 to 90 degrees two-theta, most intense first)
two_theta  I_rel
34.16  100
10.64  64
26.32  48
28.47  41
46.46  27
51.63  25
58.91  20
65.56  19
78.15  17
42.14  17

Crystal structure
```
data_CaTbBe2Si2
_chemical_formula_sum 'Ca1 Tb1 Be2 Si2'
_cell_length_a 3.9092
_cell_length_b 3.9092
_cell_length_c 8.3147
_cell_angle_alpha 90.00
_cell_angle_beta 90.00
_cell_angle_gamma 120.00
_space_group_name_H-M_alt 'P 1'
_space_group_IT_number 1
loop_
_space_group_symop_operation_xyz
'x,y,z'
loop_
_atom_site_label
_atom_site_type_symbol
_atom_site_fract_x
_atom_site_fract_y
_atom_site_fract_z
_atom_site_occupancy
Ca1 Ca 0.0000 0.0000 0.0000 1
Tb1 Tb 0.0000 0.0000 0.5000 1
Be1 Be 0.3333 0.6667 0.7341 1
Be2 Be 0.6667 0.3333 0.2659 1
Si1 Si 0.3333 0.6667 0.2604 1
Si2 Si 0.6667 0.3333 0.7396 1
```

=====

# SrCa2Be
Simulated PXRD pattern, Cu Kα (λ = 1.5418 Å). Input: a GGA-PBE-relaxed structure.
Neutral-atom scattering factors, no anomalous dispersion.

Peak list (10 most intense, 10 to 90 degrees two-theta, most intense first)
two_theta  I_rel
31.60  100
26.48  85
24.56  52
30.36  37
39.43  29
54.26  22
16.69  21
43.85  21
55.62  20
54.73  19

Crystal structure
```
data_SrCa2Be
_chemical_formula_sum 'Sr1 Ca2 Be1'
_cell_length_a 7.0800
_cell_length_b 7.0800
_cell_length_c 7.0800
_cell_angle_alpha 148.92
_cell_angle_beta 130.86
_cell_angle_gamma 59.30
_space_group_name_H-M_alt 'P 1'
_space_group_IT_number 1
loop_
_space_group_symop_operation_xyz
'x,y,z'
loop_
_atom_site_label
_atom_site_type_symbol
_atom_site_fract_x
_atom_site_fract_y
_atom_site_fract_z
_atom_site_occupancy
Sr1 Sr 0.0000 0.0000 0.0000 1
Ca1 Ca 0.3119 0.8119 0.5000 1
Ca2 Ca 0.6881 0.1881 0.5000 1
Be1 Be 0.5000 0.5000 0.0000 1
```

=====

# SrCaBe4
Simulated PXRD pattern, Cu Kα (λ = 1.5418 Å). Input: a GGA-PBE-relaxed structure.
Neutral-atom scattering factors, no anomalous dispersion.

Peak list (10 most intense, 10 to 90 degrees two-theta, most intense first)
two_theta  I_rel
33.84  100
20.53  93
39.91  84
60.54  34
64.64  27
53.30  25
23.75  18
75.00  17
71.19  14
81.20  14

Crystal structure
```
data_SrCaBe4
_chemical_formula_sum 'Sr1 Ca1 Be4'
_cell_length_a 5.2978